Due to strict capacity limitations, we are currently offering tours by reservation only. Please click here to book your visit in advance to ensure your visit. If looking to visit today, please call us at 716-947-9217 to see what is available.
Due to strict capacity limitations, we are currently offering tours by reservation only. Please click here to book your visit in advance to ensure your visit. If looking to visit today, please call us at 716-947-9217 to see what is available.
Graycliff was built between 1926 and 1931 for Isabelle R. Martin, wife of industrialist Darwin Martin, as a summer home for the family. Standing majestically on the shore of Lake Erie, Graycliff is a monument to one of the greatest American tales ever told. It’s a story about a wealthy businessman’s ambition of building a breezy summer retreat for his family, a woman’s steadfast influence in an otherwise male-dominated society, an acclaimed architect on the downward slope of his career, and a country on the brink of a financial crisis that threatened to extinguish it all. As the Graycliff Story continues to unfold, we welcome you to join us on the journey.
The Martin family owned the property until after the deaths of Isabelle and Darwin Martin. It was sold in 1951 to the Piarist Fathers, an order of Roman Catholic Priests from Hungary, who used Graycliff as their motherhouse. The Fathers altered the property substantially for their own uses, adding additional buildings and structures that obscured Wright’s vision for nearly fifty years.
<<<
Entry 1:
{"formula": "Li9Mn7O16", "functional": "GGA+U", "state": "relaxed", "de_polymorph_ev_per_atom": 0.010, "e_tot_ha_per_atom": -0.2367, "formation_energy_ev_per_atom": -2.13, "space_group": "P-1, No. 2", "cell": [[-0.457, -0.499, 5.057], [5.181, -3.140, 0.353], [5.281, 7.647, 3.284]], "species": ["Li", "Li", "Li", "Li", "Li", "Li", "Li", "Li", "Li", "Mn", "Mn", "Mn", "Mn", "Mn", "Mn", "Mn", "O", "O", "O", "O", "O", "O", "O", "O", "O", "O", "O", "O", "O", "O", "O", "O"], "fractional_positions": [[0.492, 0.261, 0.999], [0.253, 0.502, 0.248], [0.508, 0.739, 0.001], [0.244, 0.999, 0.248], [0.756, 0.001, 0.752], [0.747, 0.498, 0.752], [0.996, 0.748, 0.499], [0.004, 0.252, 0.501], [0.000, 0.500, 0.000], [0.000, 0.000, 0.000], [0.750, 0.249, 0.245], [0.500, 0.500, 0.500], [0.250, 0.751, 0.755], [0.751, 0.742, 0.244], [0.500, 0.000, 0.500], [0.249, 0.258, 0.756], [0.353, 0.019, 0.880], [0.093, 0.222, 0.118], [0.367, 0.504, 0.863], [0.101, 0.764, 0.126], [0.606, 0.767, 0.627], [0.602, 0.265, 0.627], [0.859, 0.513, 0.375], [0.850, 0.002, 0.372], [0.633, 0.496, 0.137], [0.398, 0.735, 0.373], [0.647, 0.981, 0.120], [0.394, 0.233, 0.373], [0.899, 0.236, 0.874], [0.907, 0.778, 0.882], [0.150, 0.998, 0.628], [0.141, 0.487, 0.625]]}

Entry 2:
{"formula": "BaPrMgCo2O6", "functional": "GGA+U", "state": "relaxed", "de_polymorph_ev_per_atom": 0.150, "e_tot_ha_per_atom": -0.2313, "formation_energy_ev_per_atom": -2.22, "space_group": "Pmm2, No. 25", "cell": [[-3.866, 0.169, -0.083], [-0.098, -0.338, 3.863], [0.462, 11.083, 0.980]], "species": ["Ba", "Pr", "Mg", "Co", "Co", "O", "O", "O", "O", "O", "O"], "fractional_positions": [[0.000, 0.000, 0.051], [0.000, 0.000, 0.382], [0.000, 0.000, 0.743], [0.500, 0.500, 0.838], [0.500, 0.500, 0.251], [0.000, 0.500, 0.788], [0.500, 0.000, 0.765], [0.000, 0.500, 0.240], [0.500, 0.000, 0.247], [0.500, 0.500, 0.431], [0.500, 0.500, 0.005]]}

Entry 3:
{"formula": "Zn2Ni9O13", "functional": "GGA+U", "state": "relaxed", "e_tot_ha_per_atom": -0.1755, "formation_energy_ev_per_atom": -1.15, "space_group": "C2/m, No. 12", "cell": [[-2.495, -4.038, 1.854], [-1.893, -4.639, -0.928], [12.946, -8.922, 4.734]], "species": ["Zn", "Zn", "Ni", "Ni", "Ni", "Ni", "Ni", "Ni", "Ni", "Ni", "Ni", "O", "O", "O", "O", "O", "O", "O", "O", "O", "O", "O", "O", "O"], "fractional_positions": [[0.784, 0.784, 0.229], [0.216, 0.216, 0.771], [0.500, 0.500, 0.500], [0.354, 0.354, 0.041], [0.646, 0.646, 0.959], [0.249, 0.249, 0.419], [0.751, 0.751, 0.581], [0.064, 0.064, 0.124], [0.936, 0.936, 0.876], [0.006, 0.006, 0.335], [0.994, 0.994, 0.665], [0.000, 0.000, 0.000], [0.139, 0.139, 0.229], [0.861, 0.861, 0.771], [0.704, 0.704, 0.070], [0.296, 0.296, 0.930], [0.416, 0.416, 0.147], [0.584, 0.584, 0.853], [0.373, 0.373, 0.311], [0.627, 0.627, 0.689], [0.616, 0.616, 0.388], [0.384, 0.384, 0.612], [0.871, 0.871, 0.463], [0.129, 0.129, 0.537]]}

Entry 4:
>>>
[So much for the records of crystals]
In 1997, with only a handful of elderly priests remaining, they put Graycliff up for sale. Although many people considered purchasing Graycliff, the only offer the Fathers received was from a developer, who wished to tear down the buildings to build condominiums on the prime lakefront location. Carol Bronnenkant and her family were among those who looked at the property. Fearing its demise, Bronnenkant called several public meetings to ask the public to save Graycliff.
From those meetings, the Graycliff Conservancy was born. Incorporated as a non-profit shortly thereafter, the Conservancy was founded specifically to acquire, preserve, restore, and make accessible to the public the buildings and grounds designed by Frank Lloyd Wright.
A true grassroots success story, the Graycliff Conservancy has acquired the property, completed an enormous restoration effort, and now welcomes thousands of visitors annually to enjoy the peaceful experience that is Graycliff.
The Graycliff Conservancy invites you to access and read our yearly annual report, links to which are found below:
New York State Historic Landmark
National Register of Historic Places
Preservation Award, Preservation League of New York State
Wright Spirit Award, Frank Lloyd Wright Building Conservancy
Daniel B. Niederlander Award, The Buffalo and Erie County Historical Society
Civic Empowerment Award; Greater Buffalo All-America City Committee
Save America’s Treasures—US Department of the Interior, National Park Service
(Sponsored Program, 2000; Award Recipient 2003)
Tourism and Economic Development Award Evans-Brant Chamber of Commerce
Cultural Landscape Foundation, Washington, DC
(recognition for Graycliff’s historic landscape) (2008)
As the Graycliff story continues to be written, your financial support can help us write the next chapter.
-- Data records, kept here for reference --
........
VASP calculation (r2SCAN) on a relaxed TbLuIr2 crystal.

abc: 4.777 4.777 4.777
angles: 60.00 60.00 60.00
Sites, in units of the cell vectors:
Tb1 0.000 0.000 0.000
Lu1 0.500 0.500 0.500
Ir1 0.250 0.250 0.250
Ir2 0.750 0.750 0.750

Properties
Symmetry   Fm-3m (225)
Total magnetic moment   0.2 μB/cell
Theoretical density   15.5 g/cm³
Final energy   -44.5035 eV/atom


VASP calculation (r2SCAN) on a relaxed Lu2ZnIr crystal.

abc: 4.778 4.778 4.778
angles: 60.00 60.00 60.00
Sites, in units of the cell vectors:
Lu1 0.000 0.000 0.000
Lu2 0.500 0.500 0.500
Zn1 0.750 0.750 0.750
Ir1 0.250 0.250 0.250

Properties
Symmetry   Fm-3m (225)
Total magnetic moment   0.0 μB/cell
Theoretical density   13.1 g/cm³
Final energy   -35.1542 eV/atom


VASP calculation (r2SCAN) on a relaxed Mg13Ir3 crystal.

abc: 9.639 9.639 9.639
angles: 111.91 111.91 111.91
Sites, in units of the cell vectors:
Mg1 0.000 0.500 0.000
Mg2 0.500 0.000 0.000
Mg3 0.000 0.000 0.500
Mg4 0.500 0.000 0.500
Mg5 0.000 0.500 0.500
Mg6 0.500 0.500 0.000
Mg7 0.881 0.619 0.250
Mg8 0.250 0.881 0.619
Mg9 0.619 0.250 0.881
Mg10 0.119 0.381 0.750
Mg11 0.750 0.119 0.381
Mg12 0.381 0.750 0.119
Mg13 0.250 0.250 0.250
Mg14 0.750 0.750 0.750
Mg15 0.403 0.610 0.722
Mg16 0.722 0.403 0.610
Mg17 0.610 0.722 0.403
Mg18 0.890 0.097 0.778
Mg19 0.778 0.890 0.097
Mg20 0.097 0.778 0.890
Mg21 0.597 0.390 0.278
Mg22 0.278 0.597 0.390
Mg23 0.390 0.278 0.597
Mg24 0.110 0.903 0.222
Mg25 0.222 0.110 0.903
Mg26 0.903 0.222 0.110
Ir1 0.922 0.750 0.578
Ir2 0.750 0.578 0.922
Ir3 0.578 0.922 0.750
Ir4 0.078 0.250 0.422
Ir5 0.250 0.422 0.078
Ir6 0.422 0.078 0.250

Properties
Symmetry   R-3c (167)
Total magnetic moment   0.0 μB/cell
Theoretical density   4.8 g/cm³
Final energy   -13.4712 eV/atom


VASP calculation (r2SCAN) on a relaxed Mg4IrN4 crystal.

abc: 5.334 5.361 8.530
angles: 67.89 80.16 69.81
Sites, in units of the cell vectors:
Mg1 0.736 0.620 0.220
Mg2 0.264 0.380 0.780
Mg3 0.732 0.263 0.001
Mg4 0.268 0.737 0.999
Mg5 0.736 0.469 0.584
Mg6 0.264 0.531 0.416
Mg7 0.252 0.942 0.584
Mg8 0.748 0.058 0.416
Ir1 0.746 0.843 0.794
Ir2 0.254 0.157 0.206
N1 0.981 0.689 0.607
N2 0.019 0.311 0.393
N3 0.848 0.853 0.984
N4 0.152 0.147 0.016
N5 0.506 0.606 0.794
N6 0.494 0.394 0.206
N7 0.504 0.824 0.383
N8 0.496 0.176 0.617

Properties
Symmetry   P-1 (2)
Total magnetic moment   0.0 μB/cell
Theoretical density   5.4 g/cm³
Final energy   -12.1692 eV/atom


VASP calculation (r2SCAN) on a relaxed Pr4MgIr crystal.

abc: 10.090 10.090 10.090
angles: 60.00 60.00 60.00
Sites, in units of the cell vectors:
Pr1 0.346 0.346 0.346
Pr2 0.346 0.346 0.963
Pr3 0.346 0.963 0.346
Pr4 0.963 0.346 0.346
Pr5 0.811 0.189 0.189
Pr6 0.189 0.811 0.811
Pr7 0.189 0.811 0.189
Pr8 0.811 0.189 0.811
Pr9 0.189 0.189 0.811
Pr10 0.811 0.811 0.189
Pr11 0.939 0.561 0.561
Pr12 0.561 0.939 0.939
Pr13 0.561 0.939 0.561
Pr14 0.939 0.561 0.939
Pr15 0.561 0.561 0.939
Pr16 0.939 0.939 0.561
Mg1 0.579 0.579 0.579
Mg2 0.579 0.579 0.264
Mg3 0.579 0.264 0.579
Mg4 0.264 0.579 0.579
........
-- So much for the data records --
Frank Lloyd Wright’s Graycliff is a New York State Landmark listed on the National Register of Historic Places. Our historic site is accessible by guided tour year round.
©2024 Graycliff. All Rights Reserved.
Someone pasted data records at this point =
'''
Record 1
The following is a PBE calculation of a relaxed Pm2MgSe4 crystal, from the Materials Project database.

Results
- Symmetry: P-1 (2)
- Calculated total energy: -142.045 eV/cell
- Formation energy: -1.759 eV/atom
- Relative energy among the computed polymorphs: 182 meV per atom
- Total magnetization: 0.00 μB/atom

Unit cell a=7.6705 b=8.9104 c=13.9094 alpha=99.45 beta=95.64 gamma=90.01
Last column: nearest neighbours and their distance in Å.
Fractional coordinates of all 28 atoms:
Pm 0.1316 0.4434 0.3021  4 Se 2.77-2.80
Pm 0.1336 0.9578 0.3060  4 Se 2.78-2.80
Pm 0.2578 0.1290 0.0008  6 Se 2.96-3.03
Pm 0.3654 0.3004 0.6960  4 Se 2.77-2.81
Pm 0.6346 0.6996 0.3040  4 Se 2.77-2.81
Pm 0.7422 0.8710 0.9992  6 Se 2.96-3.03
Pm 0.8664 0.0422 0.6940  4 Se 2.78-2.80
Pm 0.8684 0.5566 0.6979  4 Se 2.77-2.80
Mg 0.2509 0.6212 0.9947  6 Se 2.81-2.90
Mg 0.3658 0.8001 0.7034  4 Se 2.57-2.62
Mg 0.6342 0.1999 0.2966  4 Se 2.57-2.62
Mg 0.7491 0.3788 0.0053  6 Se 2.81-2.90
Se 0.0919 0.4105 0.0998  2 Pm 2.77-3.00, 2 Mg 2.81-2.90
Se 0.1103 0.8915 0.1030  3 Pm 2.78-3.03, 1 Mg 2.89
Se 0.1970 0.5469 0.6263  1 Mg 2.62, 2 Pm 2.80-2.81
Se 0.1997 0.0162 0.6273  1 Mg 2.62, 2 Pm 2.80-2.81
Se 0.3081 0.7189 0.3796  3 Pm 2.80
Se 0.3376 0.2198 0.3745  1 Mg 2.61, 2 Pm 2.79-2.80
Se 0.3881 0.8408 0.8917  2 Mg 2.57-2.86
Se 0.4111 0.3588 0.8988  2 Pm 2.77-2.98, 2 Mg 2.84-2.85
Se 0.5889 0.6412 0.1012  2 Pm 2.77-2.98, 2 Mg 2.84-2.85
Se 0.6119 0.1592 0.1083  2 Mg 2.57-2.86
Se 0.6624 0.7802 0.6255  1 Mg 2.61, 2 Pm 2.79-2.80
Se 0.6919 0.2811 0.6204  3 Pm 2.80
Se 0.8003 0.9838 0.3727  1 Mg 2.62, 2 Pm 2.80-2.81
Se 0.8030 0.4531 0.3737  1 Mg 2.62, 2 Pm 2.80-2.81
Se 0.8897 0.1085 0.8970  3 Pm 2.78-3.03, 1 Mg 2.89
Se 0.9081 0.5895 0.9002  2 Pm 2.77-3.00, 2 Mg 2.81-2.90

---

Record 2
The following is a PBE calculation of a relaxed ErNi2Ge2 crystal, from the Materials Project database.

Results
- Symmetry: I4/mmm (139)
- Calculated total energy: -28.752 eV/cell
- Formation energy: -0.676 eV/atom

Unit cell a=5.6676 b=5.6676 c=5.6676 alpha=138.19 beta=138.19 gamma=60.62
Last column: nearest neighbours and their distance in Å.
Fractional coordinates of all 5 atoms:
Er 0.0000 0.0000 0.0000  8 Ge 3.12, 8 Ni 3.17
Ni 0.2500 0.7500 0.5000  4 Ge 2.35
Ni 0.7500 0.2500 0.5000  4 Ge 2.35
Ge 0.3724 0.3724 0.0000  4 Ni 2.35, 1 Ge 2.50
Ge 0.6276 0.6276 0.0000  4 Ni 2.35, 1 Ge 2.50

---

Record 3
The following is a PBE calculation of a relaxed LiY4Ge4 crystal, from the Materials Project database.

Results
- Symmetry: Pnma (62)
- Calculated total energy: -215.893 eV/cell
- Formation energy: -0.856 eV/atom

Unit cell a=7.1764 b=14.7494 c=7.7528 alpha=90.00 beta=90.00 gamma=90.00
Last column: nearest neighbours and their distance in Å.
Fractional coordinates of all 36 atoms:
Li 0.1590 0.2500 0.0221  3 Ge 2.71-2.84
Li 0.3410 0.7500 0.5221  3 Ge 2.71-2.84
Li 0.6590 0.2500 0.4779  3 Ge 2.71-2.84
Li 0.8410 0.7500 0.9779  3 Ge 2.71-2.84
Y 0.0148 0.5974 0.6864  6 Ge 2.99-3.13
Y 0.0148 0.9026 0.6864  6 Ge 2.99-3.13
'''
Back to the page =
Due to strict capacity limitations, we are currently offering tours by reservation only.
Please click here to book your visit in advance to ensure your visit. If looking to visit today, please call us at 716-947-9217 to see what is available.